
Welcome to Melazzo

Hello everyone and welcome to Melazzo! In this text, we will talk about the historical and cultural beauties of this Italian municipality in the province of Alessandria in Piedmont.


Melazzo has a long and rich history. Sant'Guido d'Acqui was born in the castle of the municipality and he donated his feudal rights to the church of Acqui in 1034. In the 13th century, Melazzo was under the control of the Acqui Commune and then became part of the Marquisate of Monferrato. The castle was the refuge of the King of England, Edward II, to escape the capture and assassination attempt plotted by his wife Isabella of France.

Discover the beauties of Melazzo: history, monuments, and culture.


The flag of the municipality of Melazzo is a white drapery, while the coat of arms was granted by royal decree on April 9, 1914.

Monuments and places of interest

There are many beautiful monuments and places of interest in Melazzo.

Melazzo Castle

The castle is an ancient fortress dating back to the year 1000. The building still preserves parts of the Late Middle Ages restored or integrated with neo-Gothic style. Inside, a plaque recalls the historical fact that Edward II of England found refuge in Italy and spent part of his last years in Melazzo.

San Bartolomeo Parish Church

The parish church of San Bartolomeo, built in the 18th century, contains decorations in Piedmontese Baroque style. The adjacent oratory, dedicated to the Dominican martyr San Pietro Martire, preserves interesting Baroque furnishings.

Il Quartino

The Villa del Quartino is located near the village and was built by the Scati family. Constanza Scati, lady-in-waiting to Queen Maria Adelaide of Savoy, lived here.

Montecrescente Castle

Someone pasted crystal structures at this point =
'''
Entry from Alexandria: an optimized crystal structure of K2NpTlTe4 (PBE).

Cell: 4.5903 8.4360 8.3475 Å, 72.27 90.00 90.00°
Last column: nearest neighbours and their distance in Å.
Positions (direct):
K  0.0000  0.0000  0.0000  6 Te 3.69-3.83
K  0.5000  0.0000  0.5000  6 Te 3.47
Te  0.5000  0.7048  0.2878  2 Np 3.09, 1 Tl 3.36
Te  0.5000  0.2952  0.7122  2 Np 3.09, 1 Tl 3.36
Te  0.0000  0.7088  0.7268  1 Np 2.95
Te  0.0000  0.2912  0.2732  1 Np 2.95
Np  0.0000  0.5000  0.5000  6 Te 2.95-3.09
Tl  0.5000  0.5000  0.0000  6 Te 3.34-3.36

Summary:
Its electronic total energy is -35.7 eV per formula unit. As for the symmetry: P2/m, No. 10.

=====

Entry from Alexandria: an optimized crystal structure of K3Tm2NpTe6 (PBE).

Cell: 7.8067 7.8067 8.6116 Å, 98.70 98.70 120.05°
Last column: nearest neighbours and their distance in Å.
Positions (direct):
K  0.5000  0.5000  0.5000  6 Te 3.50-3.56
K  0.1644  0.8356  0.5000  6 Te 3.52-3.57
K  0.8356  0.1644  0.5000  6 Te 3.52-3.57
Te  0.4103  0.0691  0.2073  2 Tm 3.08, 1 Np 3.16
Te  0.5897  0.9309  0.7927  2 Tm 3.08, 1 Np 3.16
Te  0.7277  0.7277  0.2069  2 Tm 3.08, 1 Np 3.16
Te  0.9309  0.5897  0.7927  2 Tm 3.08, 1 Np 3.16
Te  0.0691  0.4103  0.2073  2 Tm 3.08, 1 Np 3.16
Te  0.2723  0.2723  0.7931  2 Tm 3.08, 1 Np 3.16
Tm  0.3332  0.6668  0.0000  6 Te 3.08
Tm  0.6668  0.3332  0.0000  6 Te 3.08
Np  0.0000  0.0000  0.0000  6 Te 3.16

Summary:
Its electronic total energy is -58.4 eV per formula unit. As for the symmetry: C2/m, No. 12.

=====

Entry from Alexandria: an optimized crystal structure of K2NpUTe4 (PBE).

Cell: 4.5230 7.8332 8.6733 Å, 107.46 90.00 90.00°
Last column: nearest neighbours and their distance in Å.
Positions (direct):
Te  0.0000  0.2646  0.7886  2 U 3.14, 1 Np 3.15
Te  0.5000  0.7612  0.7887  1 U 3.13, 2 Np 3.15
Te  0.0000  0.7354  0.2114  2 U 3.14, 1 Np 3.15
Te  0.5000  0.2388  0.2113  1 U 3.13, 2 Np 3.15
U  0.5000  0.5000  0.0000  6 Te 3.13-3.14
K  0.5000  0.0000  0.5000  6 Te 3.54-3.55
K  0.0000  0.5000  0.5000  6 Te 3.53
Np  0.0000  0.0000  0.0000  6 Te 3.15

Summary:
Its electronic total energy is -46.0 eV per formula unit. As for the symmetry: P2/m, No. 10.

=====

Entry from Alexandria: an optimized crystal structure of K2Np2UTe6 (PBE).

Cell: 7.7284 7.7284 8.7984 Å, 98.51 98.51 119.93°
Last column: nearest neighbours and their distance in Å.
Positions (direct):
Te  0.0717  0.3999  0.7075  1 U 3.08, 2 Np 3.12-3.13
Te  0.9283  0.6001  0.2925  1 U 3.08, 2 Np 3.12-3.13
Te  0.2620  0.2620  0.2938  1 U 3.09, 2 Np 3.12
Te  0.3999  0.0717  0.7075  1 U 3.08, 2 Np 3.12-3.13
Te  0.7380  0.7380  0.7062  1 U 3.09, 2 Np 3.12
Te  0.6001  0.9283  0.2925  1 U 3.08, 2 Np 3.12-3.13
U  0.0000  0.0000  0.5000  6 Te 3.08-3.09
K  0.1672  0.8328  0.0000  6 Te 3.56-3.58
K  0.8328  0.1672  0.0000  6 Te 3.56-3.58
Np  0.3327  0.6673  0.5000  6 Te 3.12-3.13
Np  0.6673  0.3327  0.5000  6 Te 3.12-3.13

Summary:
Its electronic total energy is -67.3 eV per formula unit. As for the symmetry: C2/m, No. 12.

=====

1.
'''

On the opposite bank of the Erro, there is an octagonal plan castle with four angular towers "at the edge", also known as Tinazza, built in the 14th century to monitor the outlet of the valleys of Bormida and Erro.

San Secondo Church

The San Secondo Church is a Romanesque building from the 12th century, currently isolated among the fields near the homonymous hamlet. Originally with a tau plant and triapsidal, only two parts remain. The church was part of the relatively frequent architectural model in the Diocese of Acqui.


In this short tour of Melazzo, we have admired many beauties and appreciated the history and culture of this Italian municipality. If you are lucky enough to visit the area, be sure not to miss these places of interest.

### Here the text breaks off for crystal structures
- - -
This record from Alexandria describes an optimized crystal structure of BiAsBr2O. The functional is PBE-GGA.

Cell and atoms, written as POSCAR:
```
BiAsBr2O
1.0
4.792 0.000 0.000
0.000 4.792 0.000
0.000 0.000 4.680
O As Bi Br
1 1 1 2
direct
0.000 0.000 0.000
0.000 0.000 0.500
0.500 0.500 0.500
0.000 0.500 0.000
0.500 0.000 0.000
```

Crystal system: tetragonal
N(E_F) (states/eV/atom): 0.37
Relative energy among the computed polymorphs (eV/f.u.): 0.00


This record from Alexandria describes an optimized crystal structure of Er3TeSe2. The functional is PBE-GGA.

Cell and atoms, written as POSCAR:
```
Er3TeSe2
1.0
3.993 0.000 0.000
0.000 6.810 -1.509
0.000 0.076 11.054
Er Te Se
6 2 4
direct
0.750 0.648 0.647
0.250 0.352 0.353
0.750 0.883 0.348
0.250 0.117 0.652
0.250 0.223 0.996
0.750 0.777 0.004
0.250 0.527 0.829
0.750 0.473 0.171
0.250 0.745 0.490
0.750 0.255 0.510
0.750 0.020 0.823
0.250 0.980 0.177
```

Crystal system: monoclinic
N(E_F) (states/eV/atom): 0.65
Relative energy among the computed polymorphs (eV/f.u.): 0.00


Which of these has the highest N(E_F)? Er3TeSe2


What is the formula in the first record? BiAsBr2O

* * * * *

Cu3HPb | the Alexandria database | PBE | relaxed; Fermi-level density of states = 0.225 states/eV/atom; total DFT energy (no corrections) = -17.837 eV per cell; SG = Pm-3m, No. 221
1.0
4.0320 0.0000 0.0000
0.0000 4.0320 0.0000
0.0000 0.0000 4.0320
Cu H Pb
3 1 1
direct
0.0000 0.0000 0.5000
0.0000 0.5000 0.0000
0.5000 0.0000 0.0000
0.0000 0.0000 0.0000
0.5000 0.5000 0.5000

* * * * *

DFT (PBE-GGA) results for a geometry-optimized YHfNbCr2 structure. Values from VASP.

Structure (Quantum ESPRESSO input):
```
&SYSTEM
  ibrav = 0, nat = 5, ntyp = 4
/
ATOMIC_SPECIES
Cr 52.00 Cr.upf
Hf 178.49 Hf.upf
Y 88.91 Y.upf
Nb 92.91 Nb.upf
CELL_PARAMETERS angstrom
4.681 0.000 0.000
0.000 5.103 0.000
0.000 0.000 4.681
ATOMIC_POSITIONS angstrom
Cr 0.000 0.000 2.341
Cr 2.341 0.000 0.000
Hf 0.000 2.552 0.000
Y 0.000 0.000 0.000
Nb 2.341 2.552 2.341
```

Values from the calculation:
As for the space group: P4/mmm (123). As for the total energy: -35.8 eV per cell. Its density of states at the Fermi level is 6.48 states/eV per cell. The calculation puts the total magnetization at 4.50 μB per formula unit.

* * * * *

1.
The following is a DFT calculation (PBE) of a relaxed structure of Na3Dy2AlSe6.

```
Na3Dy2AlSe6
1.0
7.003 -0.004 -0.003
-3.504 6.063 -0.003
-1.170 -2.026 6.999
Na Dy Al Se
3 2 1 6
Cartesian
- - -

Luca Bianchi
Wrote by Luca Bianchi
Updated Thursday, Oct 20, 2022